-- Entries --
1.
This entry pairs a crystal structure of TbInIr with its theoretical powder diffractogram. Radiation: Cu Kα X-rays. Structure: a DFT-relaxed cell (PBE, the Materials Project).
Intensities are scaled so that the largest is 100.

Structure:
a = 7.528 Å, b = 7.528 Å, c = 3.990 Å
α = 90.00°, β = 90.00°, γ = 120.00°
Sites, in units of the cell vectors:
Tb 0.000 0.594 0.000
Tb 0.406 0.406 0.000
Tb 0.594 0.000 0.000
In 0.000 0.256 0.500
In 0.256 0.000 0.500
In 0.744 0.744 0.500
Ir 0.000 0.000 0.000
Ir 0.333 0.667 0.500
Ir 0.667 0.333 0.500

Most intense lines, 2θ = 10–80°, by intensity:
d 2.524, 2θ = 35.56°, I 100.0, (2 0 1); d 2.738, 2θ = 32.71°, I 81.2, (1 1 1); d 2.173, 2θ = 41.56°, I 47.1, (3 0 0); d 2.097, 2θ = 43.15°, I 38.9, (2 1 1); d 1.401, 2θ = 66.80°, I 33.6, (3 2 1); d 2.464, 2θ = 36.46°, I 33.2, (2 1 0); d 1.470, 2θ = 63.28°, I 27.3, (3 0 2); d 1.995, 2θ = 45.47°, I 27.1, (0 0 2); d 1.550, 2θ = 59.63°, I 15.6, (2 1 2); d 3.764, 2θ = 23.64°, I 14.6, (1 1 0)



2.
This entry pairs a crystal structure of U2InIr2 with its theoretical powder diffractogram. Radiation: Cu Kα X-rays. Structure: a DFT-relaxed cell (PBE, the Materials Project).
Intensities are scaled so that the largest is 100.

Structure:
a = 7.725 Å, b = 7.725 Å, c = 3.508 Å
α = 90.00°, β = 90.00°, γ = 90.00°
Sites, in units of the cell vectors:
U 0.166 0.334 0.000
U 0.334 0.834 0.000
U 0.666 0.166 0.000
U 0.834 0.666 0.000
In 0.000 0.000 0.500
In 0.500 0.500 0.500
Ir 0.136 0.636 0.500
Ir 0.364 0.136 0.500
Ir 0.636 0.864 0.500
Ir 0.864 0.364 0.500

Most intense lines, 2θ = 10–80°, by intensity:
d 2.462, 2θ = 36.50°, I 100.0, (2 1 1); d 2.443, 2θ = 36.79°, I 38.4, (3 1 0); d 1.328, 2θ = 70.99°, I 18.0, (5 2 1); d 1.425, 2θ = 65.51°, I 14.5, (3 1 2); d 1.653, 2θ = 55.61°, I 13.7, (4 1 1); d 2.597, 2θ = 34.54°, I 12.7, (2 0 1); d 5.462, 2θ = 16.23°, I 11.5, (1 1 0); d 1.754, 2θ = 52.14°, I 10.6, (0 0 2); d 1.821, 2θ = 50.10°, I 9.7, (3 3 0); d 1.931, 2θ = 47.05°, I 7.3, (4 0 0)



3.
This entry pairs a crystal structure of K3In with its theoretical powder diffractogram. Radiation: Cu Kα X-rays. Structure: a DFT-relaxed cell (PBE, the Materials Project).
Intensities are scaled so that the largest is 100.

Structure:
a = 9.226 Å, b = 9.226 Å, c = 9.226 Å
α = 90.00°, β = 90.00°, γ = 90.00°
Sites, in units of the cell vectors:
K 0.000 0.000 0.000
K 0.000 0.500 0.500
K 0.250 0.250 0.250
K 0.250 0.250 0.750
K 0.250 0.750 0.250
K 0.250 0.750 0.750
K 0.500 0.000 0.500
K 0.500 0.500 0.000
K 0.750 0.250 0.250
K 0.750 0.250 0.750
K 0.750 0.750 0.250
K 0.750 0.750 0.750
In 0.000 0.000 0.500
In 0.000 0.500 0.000
In 0.500 0.000 0.000
In 0.500 0.500 0.500

Most intense lines, 2θ = 10–80°, by intensity:
d 3.262, 2θ = 27.34°, I 100.0, (2 2 0); d 1.883, 2θ = 48.33°, I 37.8, (4 2 2); d 5.327, 2θ = 16.64°, I 20.3, (1 1 1); d 2.306, 2θ = 39.05°, I 18.3, (4 0 0); d 1.233, 2θ = 77.41°, I 17.0, (6 4 2); d 1.459, 2θ = 63.81°, I 15.4, (6 2 0); d 2.782, 2θ = 32.18°, I 12.9, (3 1 1); d 1.631, 2θ = 56.42°, I 11.5, (4 4 0); d 4.613, 2θ = 19.24°, I 11.0, (2 0 0); d 2.117, 2θ = 42.72°, I 6.1, (3 3 1)

~~~~~

Diffraction record for LiMn4P3O12. The powder X-ray diffraction pattern is simulated, not measured: it uses DFT lattice parameters and positions (GGA+U) and Cu Kα (λ = 1.5418 Å).
Lines closer than 0.1° are merged.

Atomic structure:
```
data_LiMn4P3O12
_cell_length_a 9.6453
_cell_length_b 9.6463
_cell_length_c 10.9346
_cell_angle_alpha 90.00
_cell_angle_beta 116.17
_cell_angle_gamma 90.00
_symmetry_space_group_name_H-M 'C 1 c 1'
_symmetry_Int_Tables_number 9
_symmetry_space_group_name_Hall 'C -2yc'
loop_
_atom_site_label
_atom_site_fract_x
_atom_site_fract_y
_atom_site_fract_z
Li1 0.0000 0.1253 0.0000
Mn1 0.1181 0.3819 0.2497
Mn2 0.1320 0.1318 0.7498
Mn3 0.2320 0.3750 0.9632
Mn4 0.2682 0.1249 0.5362
P1 0.0001 0.3751 0.4997
P2 0.3271 0.1729 0.2497
P3 0.4230 0.4230 0.7497
O1 0.0726 0.0217 0.3753
O2 0.0810 0.4411 0.4182
-- Assignment --
Give back the lines further up from the line with "0.864 0.364" to the end exactly.
-- Worked solution --
Ir 0.864 0.364 0.500

Most intense lines, 2θ = 10–80°, by intensity:
d 2.462, 2θ = 36.50°, I 100.0, (2 1 1); d 2.443, 2θ = 36.79°, I 38.4, (3 1 0); d 1.328, 2θ = 70.99°, I 18.0, (5 2 1); d 1.425, 2θ = 65.51°, I 14.5, (3 1 2); d 1.653, 2θ = 55.61°, I 13.7, (4 1 1); d 2.597, 2θ = 34.54°, I 12.7, (2 0 1); d 5.462, 2θ = 16.23°, I 11.5, (1 1 0); d 1.754, 2θ = 52.14°, I 10.6, (0 0 2); d 1.821, 2θ = 50.10°, I 9.7, (3 3 0); d 1.931, 2θ = 47.05°, I 7.3, (4 0 0)



3.
This entry pairs a crystal structure of K3In with its theoretical powder diffractogram. Radiation: Cu Kα X-rays. Structure: a DFT-relaxed cell (PBE, the Materials Project).
Intensities are scaled so that the largest is 100.

Structure:
a = 9.226 Å, b = 9.226 Å, c = 9.226 Å
α = 90.00°, β = 90.00°, γ = 90.00°
Sites, in units of the cell vectors:
K 0.000 0.000 0.000
K 0.000 0.500 0.500
K 0.250 0.250 0.250
K 0.250 0.250 0.750
K 0.250 0.750 0.250
K 0.250 0.750 0.750
K 0.500 0.000 0.500
K 0.500 0.500 0.000
K 0.750 0.250 0.250
K 0.750 0.250 0.750
K 0.750 0.750 0.250
K 0.750 0.750 0.750
In 0.000 0.000 0.500
In 0.000 0.500 0.000
In 0.500 0.000 0.000
In 0.500 0.500 0.500

Most intense lines, 2θ = 10–80°, by intensity:
d 3.262, 2θ = 27.34°, I 100.0, (2 2 0); d 1.883, 2θ = 48.33°, I 37.8, (4 2 2); d 5.327, 2θ = 16.64°, I 20.3, (1 1 1); d 2.306, 2θ = 39.05°, I 18.3, (4 0 0); d 1.233, 2θ = 77.41°, I 17.0, (6 4 2); d 1.459, 2θ = 63.81°, I 15.4, (6 2 0); d 2.782, 2θ = 32.18°, I 12.9, (3 1 1); d 1.631, 2θ = 56.42°, I 11.5, (4 4 0); d 4.613, 2θ = 19.24°, I 11.0, (2 0 0); d 2.117, 2θ = 42.72°, I 6.1, (3 3 1)

~~~~~

Diffraction record for LiMn4P3O12. The powder X-ray diffraction pattern is simulated, not measured: it uses DFT lattice parameters and positions (GGA+U) and Cu Kα (λ = 1.5418 Å).
Lines closer than 0.1° are merged.

Atomic structure:
```
data_LiMn4P3O12
_cell_length_a 9.6453
_cell_length_b 9.6463
_cell_length_c 10.9346
_cell_angle_alpha 90.00
_cell_angle_beta 116.17
_cell_angle_gamma 90.00
_symmetry_space_group_name_H-M 'C 1 c 1'
_symmetry_Int_Tables_number 9
_symmetry_space_group_name_Hall 'C -2yc'
loop_
_atom_site_label
_atom_site_fract_x
_atom_site_fract_y
_atom_site_fract_z
Li1 0.0000 0.1253 0.0000
Mn1 0.1181 0.3819 0.2497
Mn2 0.1320 0.1318 0.7498
Mn3 0.2320 0.3750 0.9632
Mn4 0.2682 0.1249 0.5362
P1 0.0001 0.3751 0.4997
P2 0.3271 0.1729 0.2497
P3 0.4230 0.4230 0.7497
O1 0.0726 0.0217 0.3753
O2 0.0810 0.4411 0.4182